Source =
┌──
88
Properties=species:S:1:pos:R:3:mulliken_charge:R:1 method="wB97M-V/def2-TZVPD" spin_multiplicity=1 relative_energy_kj_mol=0.0 homo_energy_ev=-6.5
Ca -0.98710 -1.17337 -0.62054 1.05
C 0.86857 -1.33434 -4.47366 -1.90
C 2.29534 -1.22125 -3.91603 1.88
C 3.08238 -0.25792 -4.81062 -1.83
C 2.92900 -2.61199 -3.99324 -2.05
P 2.08816 -0.71940 -2.11951 0.49
C 1.78136 1.09199 -2.31876 -0.97
N 1.13937 1.67369 -1.16068 0.22
B 0.15043 0.97181 -0.34773 0.95
N -0.08573 1.94950 0.71956 0.15
C -0.95341 1.82669 1.87105 -1.46
P -1.53085 0.07824 2.17076 0.61
C -3.20401 0.34651 2.94643 2.20
C -3.20489 1.09655 4.27788 -2.05
C -3.88753 -1.01650 3.12047 -1.95
C -4.03655 1.13982 1.92234 -2.10
C -0.27878 -0.53995 3.41662 2.34
C 0.99133 -0.85015 2.61711 -1.98
C -0.78599 -1.84336 4.03960 -2.22
C 0.11459 0.42967 4.53714 -2.00
C 0.71046 3.07145 0.55286 0.25
C 0.82271 4.22159 1.31151 -0.49
C 1.72637 5.20028 0.90165 -0.89
C 2.48825 5.02533 -0.24595 -0.81
C 2.37221 3.87212 -1.01972 -0.76
C 1.48782 2.88887 -0.60922 0.65
C 3.72860 -0.78385 -1.22676 2.19
C 3.95341 -2.20546 -0.70182 -1.76
C 4.95113 -0.33826 -2.02568 -1.99
C 3.58154 0.14363 -0.00983 -2.39
H 0.91848 -1.70033 -5.50203 0.59
H 0.34341 -0.37896 -4.49915 0.37
H 0.25576 -2.02940 -3.89790 0.28
H 3.03102 -0.60897 -5.84391 0.53
H 4.13326 -0.19548 -4.54000 0.30
H 2.67048 0.75049 -4.79732 0.30
H 2.85576 -2.97982 -5.01913 0.51
H 2.41733 -3.32813 -3.34781 0.40
H 3.98440 -2.60465 -3.72223 0.34
H 1.11327 1.15040 -3.18878 0.43
H 2.67266 1.66405 -2.59232 0.21
H -1.83104 2.47161 1.76846 0.73
H -0.43264 2.17271 2.77128 0.33
H -2.80212 0.49140 5.09040 0.31
H -4.23267 1.35409 4.54535 0.53
H -2.63870 2.02741 4.22939 0.30
H -3.42084 -1.63190 3.88660 0.33
H -3.89884 -1.57977 2.18476 0.26
H -4.92573 -0.85329 3.41471 0.57
H -3.82781 2.20735 1.96470 0.44
H -5.09393 0.99938 2.14958 0.62
H -3.88135 0.80001 0.89635 0.17
H 0.83360 -1.63819 1.87128 0.21
H 1.76298 -1.20653 3.30333 0.58
H 1.37077 0.02834 2.09854 0.23
H -1.20657 -2.52587 3.29788 0.38
H -1.54558 -1.66317 4.79918 0.38
H 0.04943 -2.35184 4.52579 0.54
H 0.73837 1.24188 4.16572 0.40
H 0.71267 -0.11241 5.27442 0.53
H -0.73445 0.86422 5.06158 0.26
H 0.22058 4.36210 2.19988 0.47
H 1.82814 6.10774 1.47943 0.39
H 3.17766 5.79818 -0.55720 0.39
H 2.96006 3.75610 -1.92126 0.44
H 4.04167 -2.94377 -1.49542 0.31
H 3.13720 -2.51624 -0.04667 0.25
H 4.87818 -2.23068 -0.11962 0.52
H 5.21404 -1.04582 -2.81205 0.35
H 5.81300 -0.26070 -1.35725 0.48
H 4.81015 0.64215 -2.48222 0.33
H 2.62860 0.00869 0.49801 0.26
H 3.65951 1.19537 -0.28402 0.32
H 4.38019 -0.08006 0.70168 0.69
F -6.78468 -0.89616 0.36637 -0.41
C -5.67937 -1.22965 -0.35560 0.76
C -5.17486 -2.51394 -0.26154 -0.74
C -4.04343 -2.84982 -0.98346 -0.35
C -3.38440 -1.92617 -1.82520 -0.50
C -2.13775 -2.24737 -2.51430 -1.60
C -3.92475 -0.62462 -1.85276 0.27
C -5.07259 -0.28069 -1.14796 -0.66
H -5.67392 -3.24102 0.36502 0.45
H -3.66655 -3.86556 -0.92146 0.38
H -1.95826 -1.62453 -3.39144 0.43
H -1.99960 -3.30282 -2.74134 0.32
H -3.46128 0.12635 -2.48762 0.32
H -5.48712 0.71635 -1.20589 0.39

=====

57
Properties=species:S:1:pos:R:3:mulliken_charge:R:1 method="wB97M-V/def2-TZVPD" smiles=CCCCN(Cc1ccccc1)C1CCN(Cc2ccccc2)CC1 spin_multiplicity=1 relative_energy_kj_mol=2.0 homo_energy_ev=-8.1
C -1.70292 -3.96712 0.08109 -1.18
C -2.93101 -3.06416 0.03931 -0.65
C -2.65670 -1.64668 0.54031 0.15
C -1.74676 -0.84668 -0.39773 -1.11
N -1.56567 0.51469 0.08425 0.66
C -2.25932 1.50017 -0.72483 -1.04
C -3.75008 1.32382 -0.60591 0.47
C -4.35619 1.44243 0.63970 -0.33
C -5.72058 1.27079 0.77727 -0.56
C -6.49914 0.97925 -0.33151 -0.43
C -5.90461 0.86019 -1.57469 -0.69
C -4.53667 1.03050 -1.70960 -0.32
C -0.21937 0.89802 0.46804 -0.87
C 0.30026 0.03747 1.62054 -0.31
C 1.66670 0.54305 2.07238 -1.17
N 2.60738 0.48578 0.97059 0.43
C 3.96407 0.79346 1.38753 -1.14
C 4.95787 0.45353 0.30991 0.54
C 5.99294 1.31869 -0.01426 -0.43
C 6.90921 0.98219 -0.99636 -0.59
C 6.79478 -0.22130 -1.66936 -0.38
C 5.76109 -1.08849 -1.35451 -0.59
C 4.85109 -0.75460 -0.36905 -0.14
└──

What to do =
Could you find "-6.78468 -0.89616" and "-2.48762 0.32" in the block earlier on, and quote these two lines and those between?

Solution =
F -6.78468 -0.89616 0.36637 -0.41
C -5.67937 -1.22965 -0.35560 0.76
C -5.17486 -2.51394 -0.26154 -0.74
C -4.04343 -2.84982 -0.98346 -0.35
C -3.38440 -1.92617 -1.82520 -0.50
C -2.13775 -2.24737 -2.51430 -1.60
C -3.92475 -0.62462 -1.85276 0.27
C -5.07259 -0.28069 -1.14796 -0.66
H -5.67392 -3.24102 0.36502 0.45
H -3.66655 -3.86556 -0.92146 0.38
H -1.95826 -1.62453 -3.39144 0.43
H -1.99960 -3.30282 -2.74134 0.32
H -3.46128 0.12635 -2.48762 0.32